Monday, November 10, 2008

Data records, kept here for reference =
┌──
# 1
This record from the Open Molecules 2025 dataset describes a molecular structure, C13H23BiN2OS3 at a distorted geometry. The level of theory is the ωB97M-V functional and the def2-TZVPD basis.

The geometry in XYZ format:
```
43
Properties=species:S:1:pos:R:3:mulliken_spin:R:1
Bi -0.39840 -0.07110 -0.20591 0.04
S -0.66960 -2.54086 -0.70041 0.00
S -0.71805 2.41276 -0.59586 0.00
C 0.47993 -3.48919 0.29893 0.01
C 0.11548 -2.48570 -2.34303 0.00
C 0.95111 -1.25519 -2.65700 0.01
N 0.16248 -0.03975 -2.43660 0.00
C 0.82525 1.24244 -2.68362 0.00
C -0.09584 2.39260 -2.30954 0.00
H -0.71866 -2.57984 -3.05445 0.00
H 0.72836 -3.39052 -2.42501 0.00
H 1.26505 -1.26963 -3.70563 0.00
H 1.84316 -1.20602 -2.02032 0.00
H 1.07532 1.29239 -3.74954 0.00
H 1.75418 1.26847 -2.10221 0.00
H -0.99868 2.39055 -2.93580 0.00
H 0.41434 3.35087 -2.45738 0.00
C 0.55776 3.30759 0.30054 0.00
H -0.71859 -0.08817 -2.94530 0.00
H 1.56693 2.89687 0.17249 0.00
H 0.28213 3.29934 1.36403 0.00
H 0.50566 4.34111 -0.07639 0.00
H 0.12727 -3.45521 1.33822 0.00
H 1.51513 -3.13200 0.24376 0.00
H 0.40323 -4.52224 -0.07490 0.00
C -3.66131 -0.12841 -0.38880 0.01
C -3.36336 -0.15766 -1.69147 0.00
H -3.86650 0.81602 0.13380 0.00
H -3.77984 -1.05148 0.19558 0.00
H -3.30513 0.76036 -2.28678 0.00
H -3.21609 -1.10393 -2.22459 0.00
O 1.49637 -0.06866 0.81368 -0.01
N 1.17956 0.02235 2.21243 0.22
C 2.27132 0.23248 2.99292 0.42
C 2.10437 0.19885 4.36150 -0.20
C 0.80070 0.18283 4.89703 0.27
C -0.28217 0.09441 4.06877 -0.09
C -0.13953 0.00509 2.64327 0.25
S -1.73606 -0.10120 1.86644 0.03
H 2.94966 1.01593 2.62850 0.02
H 2.92666 0.28872 5.09204 0.00
H 0.67498 0.24310 5.98578 0.03
H -1.30856 0.08165 4.46082 0.00
```

Results
Spin multiplicity: 2
Charge: +1
<S²>: 0.779


# 2
This record from the Open Molecules 2025 dataset describes a single C6H6N4O3 molecule at a distorted geometry. The level of theory is the ωB97M-V functional and the def2-TZVPD basis.

The geometry in XYZ format:
```
19
Properties=species:S:1:pos:R:3:lowdin_charge:R:1
C 0.45171 1.54248 1.07266 0.05
C -0.80971 1.49852 0.61196 -0.34
C 1.44610 1.79287 0.05206 -0.36
C -2.73552 -0.12683 -0.32457 -0.17
C -2.13584 1.01910 -1.16854 -0.09
C 2.60591 0.86963 -0.06045 0.07
N -1.79553 1.00290 1.45901 0.06
N -2.70723 0.26788 1.09321 0.02
N -1.19449 1.77062 -0.69756 0.12
N 2.51870 -0.31778 0.45485 -0.29
O 1.42480 2.78190 -0.69262 0.08
O 3.63879 -1.16263 0.22933 0.05
O 1.65327 -0.85839 1.08941 0.04
H 0.68824 1.14285 2.10854 0.15
H -3.79939 -0.49590 -0.77187 0.16
H -2.15749 -1.01150 -0.20370 0.10
H 3.85343 -1.82848 0.91992 0.14
H -2.35966 1.29909 -2.26420 0.13
H 3.33089 1.17338 -0.63736 0.09
```

Results
Charge: 0
Structure (SMILES): O=C(/C=C1\N=CCN=N1)/C=[N+](\[O-])O


# 3
This record from the Open Molecules 2025 dataset describes 2 unconnected molecules or ions with the total composition C6H13NOS at a distorted geometry. The level of theory is the ωB97M-V functional and the def2-TZVPD basis.

The geometry in XYZ format:
```
22
└──

All in a Day

Yesterday I croaked my way through worship due to a cold and then headed off to a couple of other pastoral activities.

First of all I went to the funeral home to support a couple who had lost a father and father-in-law. The deceased, whom I had never met, was 92 and often these visitations for older folk are small because they outlive their peers. Well, the line extended through the room, across the entranceway and out the door. The St. Paul's pair in front of me noted that the big family had a strong rural connection, which was certainly evident. We chatted about how the changing nature of Bowmanville means that this "rural route" culture is coming to an end. It took 40 minutes in line before I could express my condolences.

On then to a community hall where a St. Paul's couple was celebrating their sixty fifth wedding anniversary. Although I was somewhat late they were still on their feet greeting guests and obviously enjoying themselves. I realized tht while I had attended some sixtieth anniversaries, this sixty fifth was a first. Some couples make it to sixty five but often one is in a nursing home and perhaps fragile in body or mind. It is a gift for a couple to be in relatively good health and to have shared so many years.

These events are a reminder of the importance of Christian community. There were St. Paul's people in both places, expressing their support in grief and joy. During worship our treasurer did a pie chart presentation of how staff time is spent. It was well done and helpful but it can only take us so far to the "why" of being Christ's gathered people.


  1. Anonymous10:23 AM

    When I enter a church my first thought is "We are not alone." It means to me that God is with us, but really what it means is more obvious. God is with us through each other. I read somewhere a story about a hermit who lived alone with his piety, and though I can't remember the whole of it, the ending pointed towards the revelation that piety without others isn't possible. We really can't enter into a relationship with God without entering into relationship with those who He created. To attempt this is to attempt to live AS God, as opposed to FOR God. That to me is the "why" we gather as God's people. Because not to would be to pass Him by. It may be possible to gather in places other than a church, if this is where you are in life, but gather we must.

  2. I find that the one time our church draws a crowd is for a funeral. Maybe that is because of our rural setting. No matter the age of the one who has died, our church is full. It's the only time I know that I will need to print extra bulletins.

    It's also one of those rare times when churched and unchurched come together. We live in a community in which there is no funeral home, so most of the funerals happen within the church. I find it to be an opportunity for the church to be supportive of those in their community who are hurting.

  3. In life, in death,
    in life beyond death,
    God is with us,
    we are not alone.
